Subject: Re: when the lifers dry up
Date: Mar 10 18:02:17 1997
From: Denny Granstrand - osprey at

_Data records that have nothing to do with the entry_
'''
Material: Ac7Al2Ga2
Method: DFT, PBE-GGA
State: optimized geometry

Cell: 8.449 12.012 8.017 Å, 90.00 90.00 90.00°
Space group Cmmm (No. 65)
Asymmetric unit:
Ac (0.000, 0.000, 0.000) [2 per cell]
Ac (0.000, 0.500, 0.261) [4 per cell]
Ac (0.250, 0.250, 0.282) [8 per cell]
Al (0.157, 0.000, 0.500) [4 per cell]
Ga (0.000, 0.294, 0.000) [4 per cell]

Summary:
As for the total energy: -3.92 eV/atom. Its energy of formation from the pure elements is -0.076 eV/atom. Its density of states at the Fermi level is 27.1 states/eV/cell. For the total moment, the calculation gives 0.0 μB per formula unit.

----------

# Pr4CdBr5

An optimized crystal structure of Pr4CdBr5 (GGA-PBE, the Alexandria database).

Geometry as POSCAR:
```
Pr4CdBr5
1.0
4.011 0.000 -0.943
-0.573 8.876 -2.437
0.147 0.645 9.627
Br Pr Cd
5 4 1
direct
0.168 0.826 0.336 Br
0.168 0.319 0.336 Br
0.500 0.500 0.000 Br
0.832 0.174 0.664 Br
0.832 0.681 0.664 Br
0.003 0.245 0.006 Pr
0.664 0.074 0.328 Pr
0.336 0.926 0.672 Pr
0.997 0.755 0.994 Pr
0.500 0.000 0.000 Cd
```

Calculated values
Raw formation energy, eV/atom: -1.2885
Spin magnetization, μB/cell: 0.0

=====

# RbPrCdBr6

An optimized crystal structure of RbPrCdBr6 (GGA-PBE, the Alexandria database).

Geometry as POSCAR:
```
RbPrCdBr6
1.0
7.471 0.000 0.000
-3.736 6.470 0.000
0.000 0.000 15.205
Cd Br Rb Pr
2 12 2 2
direct
0.667 0.333 0.250 Cd
0.333 0.667 0.750 Cd
0.629 0.618 0.140 Br
0.011 0.382 0.640 Br
0.011 0.629 0.860 Br
0.371 0.989 0.640 Br
0.989 0.618 0.360 Br
0.371 0.382 0.860 Br
0.382 0.371 0.360 Br
0.382 0.011 0.140 Br
0.629 0.011 0.360 Br
0.989 0.371 0.140 Br
0.618 0.629 0.640 Br
0.618 0.989 0.860 Br
0.000 0.000 0.000 Rb
0.000 0.000 0.500 Rb
0.333 0.667 0.250 Pr
0.667 0.333 0.750 Pr
```

Calculated values
Raw formation energy, eV/atom: -1.5196
Spin magnetization, μB/cell: 0.0

=====

# Pr6CdRh2Br3

An optimized crystal structure of Pr6CdRh2Br3 (GGA-PBE, the Alexandria database).

Geometry as POSCAR:
```
Pr6CdRh2Br3
1.0
7.377 -0.005 -0.001
-3.691 6.387 -0.001
-1.230 -2.130 7.847
Br Pr Cd Rh
3 6 1 2
direct
0.836 0.164 0.500 Br
0.164 0.836 0.500 Br
0.500 0.500 0.500 Br
0.296 0.296 0.794 Pr
0.434 0.069 0.207 Pr
0.069 0.434 0.207 Pr
0.704 0.704 0.206 Pr
0.931 0.566 0.793 Pr
0.566 0.931 0.793 Pr
0.000 0.000 0.000 Cd
0.667 0.333 0.000 Rh
0.333 0.667 0.000 Rh
```

Calculated values
Raw formation energy, eV/atom: -0.9036
Spin magnetization, μB/cell: 0.0

=====

# Pr6CdSi2Br3

An optimized crystal structure of Pr6CdSi2Br3 (GGA-PBE, the Alexandria database).

Geometry as POSCAR:
```
Pr6CdSi2Br3
1.0
4.317 0.000 0.000
0.000 8.967 0.262
-2.158 -2.644 9.248
Pr Si Br Cd
6 2 3 1
direct
0.333 0.887 0.666 Pr
0.325 0.436 0.650 Pr
0.667 0.113 0.334 Pr
0.010 0.256 0.019 Pr
0.990 0.744 0.981 Pr
0.675 0.564 0.350 Pr
0.833 0.665 0.666 Si
0.167 0.335 0.334 Si
0.500 0.500 0.000 Br
0.833 0.168 0.666 Br
0.167 0.832 0.334 Br
0.500 0.000 0.000 Cd
```

Calculated values
Raw formation energy, eV/atom: -0.9221
Spin magnetization, μB/cell: 0.0

=====

# PrTlCdBr6
'''


This conversation about "when lifers dry up" is an interesting subject for
us listing bird-lovers.

Do we watch birds just to increase our life list? If so, we can spend lots
of money traveling to every part of the ABA area, or the world for that
matter, to increase our lists but rarely bird in our home area. Have you
all become the go-for-the-gusto, chase every vagrant,
get-one-more-for-the-list birder that makes my wife sick. Notice I say "my
wife" because I really enjoy adding new species to my list as much as the
next person.

We can enjoy seeing a bird for the hundredth time if our attitude is in the
right place. The "right place" not being a judgemental statement but being
lined up with the cosmos to the point that we can appreciate what lands in
our sights, or our binos, and appreciate the beauty of a common species for
what it is - a beautiful, living creature that adds joy to our lives by just
being there.

Andy Stepniewski told me yesterday that he saw seven Western Bluebirds on
the hill behind his house of his walk-to-the-top-for-exercise and stopped
for about half an hour to watch and enjoy them. This is a species Andy has
probably seen a thousand times. He was enjoying the beauty of a beautiful,
though common, bird.

I religiously keep a life list, a Washington state list, a Yakima County
list, and a yard list. I really enjoy being able to add new species to each
list and have gone on a few wild twitches to try to do so. But I also enjoy
watching birds for the sake of just watching them. I have started taking a
group of people from our church on a bird trip every spring to raise a
little money for the church ($15.00 each through the church auction) and
share my love of birds with them. That gives me pleasure in bird watching
that equals, almost, the thrill of seeing a new species.

## Here the piece breaks off for crystal structures
~~~
Entry 1:
# CrIn2GaSe6

CrIn2GaSe6 after structural relaxation (GGA-PBE, Alexandria via LeMat-Bulk).

a = 12.936 Å, b = 11.729 Å, c = 6.773 Å
α = 90.00°, β = 99.70°, γ = 90.00°
Space group C2/c (No. 15)
Asymmetric unit:
Cr (0.000, 0.084, 0.250) (multiplicity 4)
In (0.181, 0.403, 0.290) (multiplicity 8)
Ga (0.000, 0.251, 0.750) (multiplicity 4)
Se (0.104, 0.080, 0.611) (multiplicity 8)
Se (0.118, 0.219, 0.090) (multiplicity 8)
Se (0.140, 0.391, 0.652) (multiplicity 8)

Output
density of states at the Fermi level: 0.650 states/eV/f.u.
electronic total energy: -4.3469 eV per atom
raw formation energy: -4.435 eV/f.u.



Entry 2:
# Pr4CoHg

Pr4CoHg after structural relaxation (GGA-PBE, Alexandria via LeMat-Bulk).

a = 13.949 Å, b = 13.949 Å, c = 13.949 Å
α = 90.00°, β = 90.00°, γ = 90.00°
Space group F-43m (No. 216)
Asymmetric unit:
Pr (0.000, 0.000, 0.190) (multiplicity 24)
Pr (0.060, 0.250, 0.250) (multiplicity 24)
Pr (0.098, 0.098, 0.598) (multiplicity 16)
Co (0.109, 0.109, 0.391) (multiplicity 16)
Hg (0.167, 0.167, 0.833) (multiplicity 16)

Output
density of states at the Fermi level: 5.036 states/eV/f.u.
electronic total energy: -4.6361 eV per atom
ΔH_f (0 K): -0.22 eV/atom
E above lowest polymorph: 0.0 meV per atom



Entry 3:
# Na2Zn2BiO6

Na2Zn2BiO6 after structural relaxation (GGA-PBE, Alexandria via LeMat-Bulk).

a = 5.4367 Å, b = 5.4367 Å, c = 5.7016 Å
α = 90.00°, β = 90.00°, γ = 120.00°
Space group P-31m (No. 162)
Asymmetric unit:
Na (0.3333, 0.6667, 0.0000) (multiplicity 2)
Zn (0.3333, 0.6667, 0.5000) (multiplicity 2)
Bi (0.0000, 0.0000, 0.5000) (multiplicity 1)
O (0.0000, 0.3384, 0.3013) (multiplicity 6)

Output
density of states at the Fermi level: 8.608 states/eV/f.u.
electronic total energy: -4.6999 eV per atom
raw formation energy: -12.883 eV/f.u.



Entry 4:
# PaCdSbAu

PaCdSbAu after structural relaxation (GGA-PBE, Alexandria via LeMat-Bulk).

a = 7.238 Å, b = 7.238 Å, c = 7.238 Å
α = 90.00°, β = 90.00°, γ = 90.00°
Space group F-43m (No. 216)
Asymmetric unit:
Pa (0.000, 0.000, 0.000) (multiplicity 4)
Cd (0.000, 0.000, 0.500) (multiplicity 4)
Sb (0.250, 0.250, 0.750) (multiplicity 4)
Au (0.250, 0.250, 0.250) (multiplicity 4)

Output
density of states at the Fermi level: 6.485 states/eV/f.u.
electronic total energy: -4.6602 eV per atom
raw formation energy: -0.830 eV/f.u.



Entry 5:
# Cs2Zn2O3

Cs2Zn2O3 after structural relaxation (GGA-PBE, Alexandria via LeMat-Bulk).

a = 11.459 Å, b = 3.618 Å, c = 7.913 Å
α = 90.00°, β = 122.34°, γ = 90.00°
Space group C2/m (No. 12)
Asymmetric unit:
Cs (0.061, 0.000, 0.324) (multiplicity 4)
Zn (0.191, 0.500, 0.071) (multiplicity 4)
O (0.000, 0.500, 0.000) (multiplicity 2)
O (0.211, 0.500, 0.820) (multiplicity 4)

Output
density of states at the Fermi level: 0.000 states/eV/f.u.
electronic total energy: -4.0148 eV per atom
raw formation energy: -8.974 eV/f.u.



Entry 6:
# NaY2Ge2

NaY2Ge2 after structural relaxation (GGA-PBE, Alexandria via LeMat-Bulk).

a = 8.478 Å, b = 8.478 Å, c = 3.466 Å
~~~

Learn to appreciate birds in a way that compliments the listing attitude.
Birds are a beautiful way to enjoy nature and share it with others.

At 09:20 AM 3/10/97, you wrote:
> >Try watching Television for awhile.
> >start a list of birds seen on ... I don't know...Channel 6 if you
> want.
> >When you're done with that try channel 7.
> >And movies.
> >See how many countries are home to screaming red-tailed hawks.
> >See how many bird of prey species imitate red-tailed hawk calls.
> start a list of the wierd birds your non-birder friends at work tell
> you they saw...
> Rick Romea "We're gonna need a bigger boat"
> Seattle, WA - Jaws
> romea at